Smart ESOP Participant“The reactions we were seeing made no sense at all,” declared the V.P of Operations at an ESOP-owned service firm. “Employees were receiving contributions of more than 30% of their pay, stock value was going up, and yet we heard employees complaining bitterly about ESOP ownership.”  Ownership confusion and unfounded suspicions were distracting and damaging. Even worse, it was the most financially savvy people – the thought leaders in the company –   who were expressing these sentiments.

In frustration, the leadership began to question their decision to put in an ESOP.  The executives asked, “What have we done wrong? Did we oversell the ESOP? Should we have been more careful in our initial communication?”

It is a year later and now the same executive team beams with accomplishment. “We  really put that problem behind us,” says the same V.P. referring to an issue that seemed insurmountable 12 months ago. “I don’t hear any of the grumbling about decision making or disclosure because managers are equipped to address the fears and concerns.”  Workplace Development’s Roles and Responsibilities of Ownership coaching process accelerated the development of ownership thinking.bUTTON-ROLES3

Did executive leaders cause this problem to begin with?

These executives did not do anything  wrong, the problem stemmed from the fact that ownership means different things to different people.  While they didn’t cause it, executives had to repair it. Confusion about ownership roles was affecting performance.  If the company was going to enjoy all the motivational benefits of being ESOP-owned, leaders had to have the skills to tackle the misperceptions.

Many ESOP-owned firms face similar reactions at some point in their development.  Smart financially-minded participants feel like they understand ownership because they are familiar with ownership models like sole proprietorships, public company stock, partnerships, passive investors and/or family ownerships. Each one of these forms of ownership have their own distinct rights, roles, and responsibilities. And ESOP ownership roles are distinctly different from all these models!

Repairing ownership confusion

Quantum chemistry results, kept here for reference.
/*
Record 1
Entry from the Open Molecules 2025 dataset: an isolated ion of composition C6H8N4 and charge +2 (wB97M-V/def2-TZVPD).

The geometry in ORCA input format:
```
! wB97M-V def2-TZVPD RIJCOSX def2/J DEFGRID3
* xyz 2 1
C 0.422 -1.088 1.983
C -0.931 -0.628 1.950
C 2.495 -0.047 -0.645
C 0.222 -0.220 -0.406
C 1.069 -0.717 0.804
C -1.809 1.249 -1.075
N -1.506 0.133 1.006
N 2.347 -0.678 0.534
N 1.294 0.171 -1.290
N -1.068 0.420 -0.169
H 0.770 -1.509 2.928
H -1.613 -0.881 2.754
H 3.385 0.038 -1.281
H -0.164 -1.209 -0.725
H -2.342 1.949 -0.458
H -1.222 1.898 -1.856
H -2.701 0.766 -1.642
H 1.353 0.354 -2.413
*
```

The calculation puts the LUMO energy (spin up / spin down) at -11.89 / -11.89 eV. The highest occupied orbital energy (spin up / spin down) comes out at -19.5 / -19.5 eV. The calculation puts the energy at -12289.3748 eV. The energy above the lowest of the compared OMol25 structures with the same formula, charge and spin is 39.9 kcal per mole. For the HOMO-LUMO gap (spin up / spin down), the calculation gives 7.592 / 7.590 eV.

These are the Löwdin partial charges, in e, on atoms 1 to 2: 0.172 0.033

Record 2
Entry from the Open Molecules 2025 dataset: a 2-piece molecular cluster, C6H8N4O overall (wB97M-V/def2-TZVPD).

The geometry in ORCA input format:
```
! wB97M-V def2-TZVPD RIJCOSX def2/J DEFGRID3
* xyz 0 1
C -0.904 -1.075 2.426
C -0.997 -0.007 1.491
C -1.467 -1.533 -2.350
C 0.828 2.201 -0.433
C 1.916 1.091 -0.606
C 0.508 0.735 -0.282
N 0.315 -1.564 2.410
N 0.975 -0.840 1.528
N 0.157 0.029 0.793
N -2.232 -1.631 -3.231
O -0.504 -1.408 -1.727
H -1.676 -1.324 3.119
H -1.506 0.878 1.342
H 0.629 2.635 0.523
H 0.492 2.703 -1.355
H 2.157 0.859 -1.633
H 2.558 0.810 0.243
H 1.908 -0.970 1.271
H -3.159 -1.590 -3.527
*
```

The calculation puts the LUMO energy (spin up / spin down) at 0.74 / 0.74 eV. The highest occupied orbital energy (spin up / spin down) comes out at -6.3 / -6.3 eV. The calculation puts the energy at -14353.6371 eV. The energy above the lowest of the compared OMol25 structures with the same formula, charge and spin is 133.0 kcal per mole. For the HOMO-LUMO gap (spin up / spin down), the calculation gives 7.076 / 7.076 eV.

These are the Löwdin partial charges, in e, on atoms 1 to 2: -0.137 -0.053

Record 3
Entry from the Open Molecules 2025 dataset: an isolated ion of composition C6H8N6O and charge +2 (wB97M-V/def2-TZVPD).

The geometry in ORCA input format:
```
! wB97M-V def2-TZVPD RIJCOSX def2/J DEFGRID3
* xyz 2 3
C 2.053 -0.052 -0.088
C 1.332 -2.285 -0.058
C 0.799 0.815 -0.121
C -0.781 -0.933 -0.078
C -1.676 1.287 -0.038
C -2.825 0.237 0.013
N 2.135 -1.343 0.054
N 1.002 -3.433 -0.112
N 3.047 0.831 -0.059
N -0.442 0.425 0.000
N -2.072 -1.012 0.013
N 1.209 2.070 0.001
O 2.618 2.143 -0.105
H -1.479 1.944 -0.972
H -1.602 1.874 0.777
H -3.406 0.162 0.944
H -3.279 0.123 -0.972
H 1.117 -4.359 0.232
H 3.974 0.592 0.323
H -2.375 -1.961 -0.042
H 0.652 2.877 0.288
*
```
*/
Back to the article.

Employees need to let go of what they “think” they know, before they can fully understand. Facts about ESOP ownership are necessary (but not sufficient) for repairing this perceptions gap. Companies facing this issue have almost always made a very good effort at sharing the facts. They told them that Employee Stock Ownership Plan (ESOP) not direct ownership. They explained that it is “beneficial ownership” in which – technically speaking – participants are the beneficiaries of a trust fund.  But a simple recitation of the facts and legal realities— can not eliminate the confusion when participants believe they have facts (albeit erroneous) to the contrary.

Take control of defining ownership

Between two parts of the piece: molecular data.
-- begin --
Entry 1:
The following is a DFT calculation (ωB97M-V with the def2-TZVPD basis set) of 10 unconnected molecules or ions with the total composition C30H64NO18P.

```
114
Properties=species:S:1:pos:R:3:forces:R:3:lowdin_charge:R:1
N 58.3970 58.6180 44.8900 -3.550 1.467 -4.124 0.227
H 58.6190 59.0730 43.9110 -0.209 0.411 1.828 0.135
H 58.3730 57.7550 44.3180 -1.400 -1.016 0.792 0.068
H 57.3680 58.9870 45.0890 2.076 -1.435 -1.284 0.151
H 58.9730 58.5870 45.6640 1.990 0.161 1.454 0.022
P 56.4920 58.0840 42.4230 -1.953 -3.013 1.977 -0.387
O 57.8650 57.9710 41.9650 8.590 -1.267 -0.809 -0.389
O 56.2750 57.0540 43.6240 -0.251 -1.232 0.184 -0.499
O 55.7090 58.0460 41.2020 -4.204 -1.572 -3.502 -0.415
O 56.3480 59.3740 43.0650 -0.726 6.932 4.441 -0.400
O 61.0730 60.0130 45.7470 -0.394 1.371 1.185 0.083
C 62.1130 60.2070 46.3390 -0.760 -2.111 -0.311 -0.539
O 62.2830 60.7230 47.5830 3.183 -0.082 -0.913 -0.026
C 61.2460 61.4040 48.2810 0.700 0.914 -0.695 -0.263
C 60.9510 62.6720 47.6360 -0.280 4.693 -2.988 -0.111
C 63.2810 59.5570 45.6420 5.302 1.209 -2.118 -0.024
H 61.4830 61.7090 49.3010 0.294 -1.552 0.155 0.137
H 60.5360 60.7340 47.9990 -3.488 -1.583 1.152 0.069
H 61.9900 63.2750 47.4270 -2.483 -1.203 0.747 0.128
H 60.1790 63.3810 48.1960 1.823 -1.685 -0.866 0.113
H 60.4940 62.5450 46.5790 0.732 0.071 1.677 0.094
H 63.1940 58.5400 45.1800 -1.255 1.132 0.340 0.078
H 64.3410 59.3890 46.1260 -2.141 0.939 0.057 0.091
H 63.6420 60.3140 44.6880 -1.363 -2.089 2.555 0.154
O 60.4270 53.2160 42.5440 -1.334 1.516 -0.916 0.010
C 59.5230 54.0510 42.3450 0.467 -3.531 0.427 -0.458
O 58.5340 53.7000 41.4450 2.370 -0.757 1.137 -0.004
C 57.4050 54.5290 41.2910 0.467 -1.206 -3.095 -0.230
C 56.4110 53.9660 40.2850 6.269 -0.443 -1.836 -0.018
C 59.3840 55.2260 43.1940 -5.637 -0.009 -0.453 -0.005
H 57.7710 55.4510 41.0610 0.589 2.924 -1.375 0.087
H 56.9800 54.7190 42.1620 -2.334 0.385 4.243 0.060
H 56.9190 53.8690 39.2320 -0.832 -0.222 1.904 0.118
H 55.7110 54.6380 40.1650 -3.882 3.504 -0.441 0.017
H 56.0560 53.0870 40.6470 -1.185 -2.851 0.669 0.032
H 59.3700 56.1310 42.6850 -0.729 1.815 -1.693 0.037
H 59.9790 55.4340 43.9480 3.989 -0.360 3.361 -0.002
H 58.3460 55.2940 43.7970 1.508 -0.321 -1.933 0.140
O 57.2790 63.1290 41.3400 2.186 0.717 1.639 0.083
C 58.2730 63.2370 42.0840 -4.288 -2.253 -2.002 -0.566
O 59.2270 64.0590 41.8590 2.523 2.731 1.797 0.000
C 59.2370 65.0730 40.8230 -0.533 -2.993 -0.016 -0.191
C 60.3500 66.0070 40.9930 -4.217 2.482 -0.177 -0.061
C 58.4040 62.4520 43.3410 -2.170 -0.273 1.773 0.014
H 58.2440 65.4570 40.5610 0.307 -0.093 0.399 0.141
H 59.5970 64.3710 40.1310 -0.259 -0.195 -2.679 0.100
H 61.2440 65.6040 41.0620 4.298 -2.243 -0.442 0.025
H 60.2570 66.5460 41.8850 -0.413 1.290 1.427 0.066
H 60.1650 66.6700 40.1560 0.844 0.471 -0.201 0.095
H 58.2630 63.1780 44.1810 -0.520 -0.218 -0.543 0.089
H 59.2790 61.9950 43.7290 1.579 -0.436 -0.850 0.049
H 57.6060 61.6530 43.3890 0.536 0.827 -0.276 0.097
O 59.7490 61.2010 39.2940 -0.911 -0.422 -0.276 0.129
-- stop --

Workplace Development has helped dozens of executive teams to take control of their ownership vision.  With leadership coaching and a custom “Roles and Responsibilities” workshop, managers  learn the facts and, more importantly, a process for helping employees move from misperception to engagement.

Confusion about ESOP ownership roles can sometimes be painfully distracting. However, if you take the right action, it can be an opportunity to get to the next level in building your ownership culture.

For more information about clarifying “Roles and Responsibilities” in your company contact Cathy Ivancic at or 330-896-7285.